## Wanted
Repeat all of the rows further down verbatim.

## Input
- - -
# ScTaMn2O6

A relaxed structure of ScTaMn2O6 (PBE+U, Alexandria via LeMat-Bulk).

Summary:
magnetization = 10.000 μB per formula unit
theoretical density = 6.169 g/cm3
final energy = -8.842 eV/atom
space-group type = No. 14

a b c (Å): 5.3522 5.5469 7.8302
angles (deg): 90.00 90.05 90.00
Last column: magnetic moment on the atom in μB.
Positions (direct):
O1 0.8791 0.5594 0.2419  0.03
O2 0.8258 0.8051 0.9311  0.04
O3 0.3258 0.6949 0.4311  0.04
O4 0.6899 0.3193 0.9400  0.04
O5 0.8101 0.8193 0.5600  0.04
O6 0.1209 0.4406 0.7581  0.03
O7 0.6209 0.0594 0.2581  0.03
O8 0.1742 0.1949 0.0689  0.04
O9 0.1900 0.1807 0.4400  0.04
O10 0.6742 0.3051 0.5689  0.04
O11 0.3100 0.6807 0.0600  0.04
O12 0.3791 0.9406 0.7419  0.03
Ta1 0.5000 0.0000 0.5000  0.03
Ta2 0.0000 0.5000 0.0000  0.03
Mn1 0.9914 0.0481 0.7481  4.63
Mn2 0.4914 0.4519 0.2481  4.63
Mn3 0.5086 0.5481 0.7519  4.63
Mn4 0.0086 0.9519 0.2519  4.63
Sc1 0.0000 0.5000 0.5000  0.01
Sc2 0.5000 0.0000 0.0000  0.01
- - -

## Done
# ScTaMn2O6

A relaxed structure of ScTaMn2O6 (PBE+U, Alexandria via LeMat-Bulk).

Summary:
magnetization = 10.000 μB per formula unit
theoretical density = 6.169 g/cm3
final energy = -8.842 eV/atom
space-group type = No. 14

a b c (Å): 5.3522 5.5469 7.8302
angles (deg): 90.00 90.05 90.00
Last column: magnetic moment on the atom in μB.
Positions (direct):
O1 0.8791 0.5594 0.2419  0.03
O2 0.8258 0.8051 0.9311  0.04
O3 0.3258 0.6949 0.4311  0.04
O4 0.6899 0.3193 0.9400  0.04
O5 0.8101 0.8193 0.5600  0.04
O6 0.1209 0.4406 0.7581  0.03
O7 0.6209 0.0594 0.2581  0.03
O8 0.1742 0.1949 0.0689  0.04
O9 0.1900 0.1807 0.4400  0.04
O10 0.6742 0.3051 0.5689  0.04
O11 0.3100 0.6807 0.0600  0.04
O12 0.3791 0.9406 0.7419  0.03
Ta1 0.5000 0.0000 0.5000  0.03
Ta2 0.0000 0.5000 0.0000  0.03
Mn1 0.9914 0.0481 0.7481  4.63
Mn2 0.4914 0.4519 0.2481  4.63
Mn3 0.5086 0.5481 0.7519  4.63
Mn4 0.0086 0.9519 0.2519  4.63
Sc1 0.0000 0.5000 0.5000  0.01
Sc2 0.5000 0.0000 0.0000  0.01